Excerpt
1.
Calculated powder diffraction line list of Tb2GeO6 for CuKα, from a PBE-relaxed structure.
No peak broadening, texture or thermal motion is included.

Atomic structure:
a b c (Å): 4.9764 4.9764 10.0349
angles (deg): 90.00 90.00 90.00
Space group P4_2/mnm (No. 136)
Inequivalent atoms, fractional coordinates:
Tb1 0.0000 0.0000 0.1704 (multiplicity 4)
Ge1 0.0000 0.0000 0.5000 (multiplicity 2)
O1 0.1832 0.1832 0.3588 (multiplicity 8)
O2 0.2279 0.2279 0.0000 (multiplicity 4)

Top 8 peaks for 2θ = 10–90°, sorted by position:
| 2θ (°) | d [Å] | Rel. int. | index |
| --- | --- | --- | --- |
| 25.31 | 3.519 | 100 | 1 1 0 |
| 32.25 | 2.776 | 86 | 1 0 3 |
| 36.10 | 2.488 | 24 | 2 0 0 |
| 49.17 | 1.853 | 68 | 2 1 3 |
| 51.97 | 1.759 | 17 | 2 2 0 |
| 58.67 | 1.574 | 16 | 3 1 0 |
| 61.38 | 1.511 | 16 | 1 1 6 |
| 62.50 | 1.486 | 19 | 3 0 3 |

2.
Calculated powder diffraction line list of Tb2GeO for CuKα, from a PBE-relaxed structure.
No peak broadening, texture or thermal motion is included.

Atomic structure:
a b c (Å): 5.8048 5.7173 11.7446
angles (deg): 90.00 115.86 90.00
Space group P2/c (No. 13)
Inequivalent atoms, fractional coordinates:
Tb1 0.0944 0.2162 0.1066 (multiplicity 4)
Tb2 0.3118 0.2324 0.8583 (multiplicity 4)
Ge1 0.3886 0.2682 0.3742 (multiplicity 4)
O1 0.0495 0.1749 0.6219 (multiplicity 4)

Top 8 peaks for 2θ = 10–90°, sorted by position:
| 2θ (°) | d [Å] | Rel. int. | index |
| --- | --- | --- | --- |
| 27.04 | 3.297 | 76 | 1 1 1 |
| 28.28 | 3.156 | 86 | 1 1 -3 |
| 30.87 | 2.896 | 99 | 2 0 -2 |
| 31.29 | 2.859 | 100 | 0 2 0 |
| 33.93 | 2.642 | 79 | 0 0 4 |
| 44.53 | 2.035 | 63 | 2 2 -2 |
| 46.82 | 1.940 | 56 | 0 2 4 |
| 48.09 | 1.892 | 32 | 2 0 -6 |

3.
Calculated powder diffraction line list of Tb4Ge2O for CuKα, from a PBE-relaxed structure.
No peak broadening, texture or thermal motion is included.

Atomic structure:
a b c (Å): 6.5374 6.6127 8.2784
angles (deg): 90.00 108.34 90.00
Space group P2_1/m (No. 11)
Inequivalent atoms, fractional coordinates:
Tb1 0.0029 0.0007 0.2619 (multiplicity 4)
Tb2 0.4081 0.7500 0.0867 (multiplicity 2)
Tb3 0.4352 0.7500 0.6273 (multiplicity 2)
Ge1 0.2153 0.2500 0.0468 (multiplicity 2)
Ge2 0.2515 0.2500 0.5672 (multiplicity 2)
O1 0.2341 0.7500 0.8065 (multiplicity 2)

Top 8 peaks for 2θ = 10–90°, sorted by position:
| 2θ (°) | d [Å] | Rel. int. | index |
| --- | --- | --- | --- |
| 26.40 | 3.376 | 28 | 0 1 2 |
| 30.55 | 2.926 | 100 | 2 0 -2 |
| 30.64 | 2.918 | 92 | 1 2 0 |
| 33.49 | 2.676 | 57 | 2 1 -2 |
| 35.49 | 2.529 | 90 | 1 2 -2 |
| 43.74 | 2.069 | 34 | 1 0 -4 |
| 51.03 | 1.790 | 32 | 3 2 -2 |
| 64.77 | 1.439 | 24 | 2 4 -2 |

4.
Calculated powder diffraction line list of Tb3GeO6 for CuKα, from a PBE-relaxed structure.
No peak broadening, texture or thermal motion is included.

Atomic structure:
a b c (Å): 8.9618 11.1791 5.5374
angles (deg): 90.00 90.00 90.00
Space group Cmc2_1 (No. 36)
Inequivalent atoms, fractional coordinates:
Tb1 0.0000 0.1007 0.0000 (multiplicity 4)
Tb2 0.1937 0.3945 0.9475 (multiplicity 8)
Ge1 0.0000 0.3258 0.4310 (multiplicity 4)
O1 0.0000 0.2730 0.7717 (multiplicity 4)
O2 0.0000 0.4749 0.2054 (multiplicity 4)
O3 0.1514 0.2445 0.2642 (multiplicity 8)
O4 0.1606 0.0145 0.7241 (multiplicity 8)

Top 8 peaks for 2θ = 10–90°, sorted by position:
| 2θ (°) | d [Å] | Rel. int. | index |
| --- | --- | --- | --- |
| 30.23 | 2.956 | 100 | 2 2 1 |
| 30.59 | 2.923 | 34 | 1 3 1 |
| 30.99 | 2.886 | 16 | 3 1 0 |
| 32.33 | 2.769 | 21 | 0 0 2 |
| 45.39 | 1.998 | 20 | 3 1 2 |
| 46.15 | 1.967 | 19 | 0 4 2 |
| 51.02 | 1.790 | 17 | 3 5 0 |
| 59.63 | 1.551 | 14 | 5 3 1 |

5.
Calculated powder diffraction line list of TlGeTeO6 for CuKα, from a PBE-relaxed structure.
No peak broadening, texture or thermal motion is included.

Atomic structure:
a b c (Å): 5.1897 5.1897 5.3243
angles (deg): 90.00 90.00 120.00
Space group P312 (No. 149)
Inequivalent atoms, fractional coordinates:
Tl1 0.0000 0.0000 0.0000 (multiplicity 1)
Ge1 0.6667 0.3333 0.5000 (multiplicity 1)

Assignment
Duplicate the whole of the calculation results earlier on unchanged.

Result
1.
Calculated powder diffraction line list of Tb2GeO6 for CuKα, from a PBE-relaxed structure.
No peak broadening, texture or thermal motion is included.

Atomic structure:
a b c (Å): 4.9764 4.9764 10.0349
angles (deg): 90.00 90.00 90.00
Space group P4_2/mnm (No. 136)
Inequivalent atoms, fractional coordinates:
Tb1 0.0000 0.0000 0.1704 (multiplicity 4)
Ge1 0.0000 0.0000 0.5000 (multiplicity 2)
O1 0.1832 0.1832 0.3588 (multiplicity 8)
O2 0.2279 0.2279 0.0000 (multiplicity 4)

Top 8 peaks for 2θ = 10–90°, sorted by position:
| 2θ (°) | d [Å] | Rel. int. | index |
| --- | --- | --- | --- |
| 25.31 | 3.519 | 100 | 1 1 0 |
| 32.25 | 2.776 | 86 | 1 0 3 |
| 36.10 | 2.488 | 24 | 2 0 0 |
| 49.17 | 1.853 | 68 | 2 1 3 |
| 51.97 | 1.759 | 17 | 2 2 0 |
| 58.67 | 1.574 | 16 | 3 1 0 |
| 61.38 | 1.511 | 16 | 1 1 6 |
| 62.50 | 1.486 | 19 | 3 0 3 |

2.
Calculated powder diffraction line list of Tb2GeO for CuKα, from a PBE-relaxed structure.
No peak broadening, texture or thermal motion is included.

Atomic structure:
a b c (Å): 5.8048 5.7173 11.7446
angles (deg): 90.00 115.86 90.00
Space group P2/c (No. 13)
Inequivalent atoms, fractional coordinates:
Tb1 0.0944 0.2162 0.1066 (multiplicity 4)
Tb2 0.3118 0.2324 0.8583 (multiplicity 4)
Ge1 0.3886 0.2682 0.3742 (multiplicity 4)
O1 0.0495 0.1749 0.6219 (multiplicity 4)

Top 8 peaks for 2θ = 10–90°, sorted by position:
| 2θ (°) | d [Å] | Rel. int. | index |
| --- | --- | --- | --- |
| 27.04 | 3.297 | 76 | 1 1 1 |
| 28.28 | 3.156 | 86 | 1 1 -3 |
| 30.87 | 2.896 | 99 | 2 0 -2 |
| 31.29 | 2.859 | 100 | 0 2 0 |
| 33.93 | 2.642 | 79 | 0 0 4 |
| 44.53 | 2.035 | 63 | 2 2 -2 |
| 46.82 | 1.940 | 56 | 0 2 4 |
| 48.09 | 1.892 | 32 | 2 0 -6 |

3.
Calculated powder diffraction line list of Tb4Ge2O for CuKα, from a PBE-relaxed structure.
No peak broadening, texture or thermal motion is included.

Atomic structure:
a b c (Å): 6.5374 6.6127 8.2784
angles (deg): 90.00 108.34 90.00
Space group P2_1/m (No. 11)
Inequivalent atoms, fractional coordinates:
Tb1 0.0029 0.0007 0.2619 (multiplicity 4)
Tb2 0.4081 0.7500 0.0867 (multiplicity 2)
Tb3 0.4352 0.7500 0.6273 (multiplicity 2)
Ge1 0.2153 0.2500 0.0468 (multiplicity 2)
Ge2 0.2515 0.2500 0.5672 (multiplicity 2)
O1 0.2341 0.7500 0.8065 (multiplicity 2)

Top 8 peaks for 2θ = 10–90°, sorted by position:
| 2θ (°) | d [Å] | Rel. int. | index |
| --- | --- | --- | --- |
| 26.40 | 3.376 | 28 | 0 1 2 |
| 30.55 | 2.926 | 100 | 2 0 -2 |
| 30.64 | 2.918 | 92 | 1 2 0 |
| 33.49 | 2.676 | 57 | 2 1 -2 |
| 35.49 | 2.529 | 90 | 1 2 -2 |
| 43.74 | 2.069 | 34 | 1 0 -4 |
| 51.03 | 1.790 | 32 | 3 2 -2 |
| 64.77 | 1.439 | 24 | 2 4 -2 |

4.
Calculated powder diffraction line list of Tb3GeO6 for CuKα, from a PBE-relaxed structure.
No peak broadening, texture or thermal motion is included.

Atomic structure:
a b c (Å): 8.9618 11.1791 5.5374
angles (deg): 90.00 90.00 90.00
Space group Cmc2_1 (No. 36)
Inequivalent atoms, fractional coordinates:
Tb1 0.0000 0.1007 0.0000 (multiplicity 4)
Tb2 0.1937 0.3945 0.9475 (multiplicity 8)
Ge1 0.0000 0.3258 0.4310 (multiplicity 4)
O1 0.0000 0.2730 0.7717 (multiplicity 4)
O2 0.0000 0.4749 0.2054 (multiplicity 4)
O3 0.1514 0.2445 0.2642 (multiplicity 8)
O4 0.1606 0.0145 0.7241 (multiplicity 8)

Top 8 peaks for 2θ = 10–90°, sorted by position:
| 2θ (°) | d [Å] | Rel. int. | index |
| --- | --- | --- | --- |
| 30.23 | 2.956 | 100 | 2 2 1 |
| 30.59 | 2.923 | 34 | 1 3 1 |
| 30.99 | 2.886 | 16 | 3 1 0 |
| 32.33 | 2.769 | 21 | 0 0 2 |
| 45.39 | 1.998 | 20 | 3 1 2 |
| 46.15 | 1.967 | 19 | 0 4 2 |
| 51.02 | 1.790 | 17 | 3 5 0 |
| 59.63 | 1.551 | 14 | 5 3 1 |

5.
Calculated powder diffraction line list of TlGeTeO6 for CuKα, from a PBE-relaxed structure.
No peak broadening, texture or thermal motion is included.

Atomic structure:
a b c (Å): 5.1897 5.1897 5.3243
angles (deg): 90.00 90.00 120.00
Space group P312 (No. 149)
Inequivalent atoms, fractional coordinates:
Tl1 0.0000 0.0000 0.0000 (multiplicity 1)
Ge1 0.6667 0.3333 0.5000 (multiplicity 1)